File:
'''
1.
DFT (GGA-PBE) results for a geometry-optimized Dy4Pu3Se8 structure.

```
Dy4Pu3Se8
1.0
7.179 -0.152 -3.933
-4.626 6.755 -0.214
-0.164 0.133 8.187
Dy Pu Se
4 3 8
Direct
0.500 0.000 0.000 Dy
0.000 0.500 0.000 Dy
0.000 0.000 0.000 Dy
0.000 0.000 0.500 Dy
0.500 0.500 0.000 Pu
0.500 0.000 0.500 Pu
0.500 0.500 0.500 Pu
0.499 0.248 0.248 Se
0.000 0.749 0.251 Se
0.994 0.248 0.248 Se
0.500 0.751 0.249 Se
0.500 0.249 0.751 Se
0.006 0.752 0.752 Se
0.000 0.251 0.749 Se
0.501 0.752 0.752 Se
```

Properties
D(E_F) (states/eV/cell): 28.8
Formation energy from raw total energies (meV/atom): -1727
Size of the total moment (μB per cell): 17.26
Final energy (eV/f.u.): -115.18

2.
DFT (GGA-PBE) results for a geometry-optimized Dy2Pu2Se7 structure.

```
Dy2Pu2Se7
1.0
-2.662 -1.822 -2.444
3.625 -7.954 -1.369
-2.847 -6.835 4.845
Dy Pu Se
2 2 7
Direct
0.000 0.780 0.220 Dy
0.500 0.327 0.673 Dy
0.741 0.852 0.665 Pu
0.259 0.335 0.148 Pu
0.817 0.077 0.288 Se
0.861 0.417 0.861 Se
0.500 0.007 0.993 Se
0.610 0.494 0.286 Se
0.390 0.714 0.506 Se
0.183 0.712 0.923 Se
0.139 0.139 0.583 Se
```

Properties
D(E_F) (states/eV/cell): 20.8
Formation energy from raw total energies (meV/atom): -1475
Size of the total moment (μB per cell): 8.34
Final energy (eV/f.u.): -78.48

3.
DFT (GGA-PBE) results for a geometry-optimized Dy5Pu3Se8 structure.

```
Dy5Pu3Se8
1.0
-2.703 7.029 3.182
-6.490 0.008 4.972
0.994 1.507 8.017
Dy Pu Se
5 3 8
Direct
0.500 0.000 0.000 Dy
0.500 0.500 0.000 Dy
0.000 0.000 0.000 Dy
0.000 0.500 0.000 Dy
0.500 0.500 0.500 Dy
0.500 0.000 0.500 Pu
0.000 0.000 0.500 Pu
0.000 0.500 0.500 Pu
0.250 0.250 0.754 Se
0.250 0.746 0.754 Se
0.746 0.250 0.754 Se
0.748 0.748 0.755 Se
0.750 0.750 0.246 Se
0.750 0.254 0.246 Se
0.254 0.750 0.246 Se
0.252 0.252 0.245 Se
```

Properties
D(E_F) (states/eV/cell): 26.0
Formation energy from raw total energies (meV/atom): -1695
Size of the total moment (μB per cell): 17.68
Final energy (eV/f.u.): -121.00

4.
DFT (GGA-PBE) results for a geometry-optimized DyPuSe3 structure.

```
DyPuSe3
1.0
-3.096 -1.742 -1.974
1.978 -6.295 2.453
-5.282 1.167 7.254
Dy Pu Se
2 2 6
Direct
0.000 0.000 0.602 Dy
0.500 0.500 0.398 Dy
0.500 0.000 0.153 Pu
0.000 0.500 0.847 Pu
0.000 0.772 0.331 Se
0.500 0.728 0.669 Se
0.500 0.272 0.669 Se
0.000 0.228 0.331 Se
0.000 0.000 0.934 Se
0.500 0.500 0.066 Se
```

Properties
D(E_F) (states/eV/cell): 20.3
Polymorph energy (0 for the lowest one) (eV/atom): 0.0617
Formation energy from raw total energies (meV/atom): -1599
Size of the total moment (μB per cell): 10.00
Final energy (eV/f.u.): -37.38

5.
DFT (GGA-PBE) results for a geometry-optimized DyPu3Se4 structure.

```
DyPu3Se4
1.0
4.131 0.000 0.000
0.000 6.769 -2.318
0.000 -0.066 7.154
Pu Se Dy
3 4 1
Direct
0.000 0.000 0.500 Pu
0.500 0.500 0.500 Pu
0.000 0.500 0.000 Pu
0.000 0.247 0.247 Se
0.500 0.751 0.249 Se
0.000 0.753 0.753 Se
0.500 0.249 0.751 Se
0.500 0.000 0.000 Dy
```

Properties
D(E_F) (states/eV/cell): 26.9
Polymorph energy (0 for the lowest one) (eV/atom): 0.0000
Formation energy from raw total energies (meV/atom): -1601
Size of the total moment (μB per cell): 17.53
Final energy (eV/f.u.): -74.34

6.
DFT (GGA-PBE) results for a geometry-optimized Dy2PuSe structure.

```
Dy2PuSe
1.0
-1.121 2.643 2.297
-3.231 -0.314 1.727
3.190 -4.038 9.146
Dy Se Pu
2 1 1
Direct
0.107 0.107 0.679 Dy
0.893 0.893 0.321 Dy
0.500 0.500 0.500 Se
0.000 0.000 0.000 Pu
```

Properties
D(E_F) (states/eV/cell): 10.5
Formation energy from raw total energies (meV/atom): -442
Size of the total moment (μB per cell): 6.48
Final energy (eV/f.u.): -28.79

7.
DFT (GGA-PBE) results for a geometry-optimized Sm4DyPu3Se8 structure.

```
Sm4DyPu3Se8
1.0
-5.307 -6.025 1.999
4.499 -5.427 -4.413
3.618 4.468 5.950
Sm Dy Pu Se
4 1 3 8
Direct
0.500 0.000 0.000 Sm
0.500 0.000 0.500 Sm
0.000 0.000 0.000 Sm
0.000 0.000 0.500 Sm
0.000 0.500 0.000 Dy
0.500 0.500 0.000 Pu
0.500 0.500 0.500 Pu
0.000 0.500 0.500 Pu
0.247 0.745 0.998 Se
0.247 0.745 0.494 Se
0.251 0.253 0.502 Se
0.751 0.745 0.998 Se
'''

What to do:
The reader should reproduce everything further up with every line break kept.

Solution:
1.
DFT (GGA-PBE) results for a geometry-optimized Dy4Pu3Se8 structure.

```
Dy4Pu3Se8
1.0
7.179 -0.152 -3.933
-4.626 6.755 -0.214
-0.164 0.133 8.187
Dy Pu Se
4 3 8
Direct
0.500 0.000 0.000 Dy
0.000 0.500 0.000 Dy
0.000 0.000 0.000 Dy
0.000 0.000 0.500 Dy
0.500 0.500 0.000 Pu
0.500 0.000 0.500 Pu
0.500 0.500 0.500 Pu
0.499 0.248 0.248 Se
0.000 0.749 0.251 Se
0.994 0.248 0.248 Se
0.500 0.751 0.249 Se
0.500 0.249 0.751 Se
0.006 0.752 0.752 Se
0.000 0.251 0.749 Se
0.501 0.752 0.752 Se
```

Properties
D(E_F) (states/eV/cell): 28.8
Formation energy from raw total energies (meV/atom): -1727
Size of the total moment (μB per cell): 17.26
Final energy (eV/f.u.): -115.18

2.
DFT (GGA-PBE) results for a geometry-optimized Dy2Pu2Se7 structure.

```
Dy2Pu2Se7
1.0
-2.662 -1.822 -2.444
3.625 -7.954 -1.369
-2.847 -6.835 4.845
Dy Pu Se
2 2 7
Direct
0.000 0.780 0.220 Dy
0.500 0.327 0.673 Dy
0.741 0.852 0.665 Pu
0.259 0.335 0.148 Pu
0.817 0.077 0.288 Se
0.861 0.417 0.861 Se
0.500 0.007 0.993 Se
0.610 0.494 0.286 Se
0.390 0.714 0.506 Se
0.183 0.712 0.923 Se
0.139 0.139 0.583 Se
```

Properties
D(E_F) (states/eV/cell): 20.8
Formation energy from raw total energies (meV/atom): -1475
Size of the total moment (μB per cell): 8.34
Final energy (eV/f.u.): -78.48

3.
DFT (GGA-PBE) results for a geometry-optimized Dy5Pu3Se8 structure.

```
Dy5Pu3Se8
1.0
-2.703 7.029 3.182
-6.490 0.008 4.972
0.994 1.507 8.017
Dy Pu Se
5 3 8
Direct
0.500 0.000 0.000 Dy
0.500 0.500 0.000 Dy
0.000 0.000 0.000 Dy
0.000 0.500 0.000 Dy
0.500 0.500 0.500 Dy
0.500 0.000 0.500 Pu
0.000 0.000 0.500 Pu
0.000 0.500 0.500 Pu
0.250 0.250 0.754 Se
0.250 0.746 0.754 Se
0.746 0.250 0.754 Se
0.748 0.748 0.755 Se
0.750 0.750 0.246 Se
0.750 0.254 0.246 Se
0.254 0.750 0.246 Se
0.252 0.252 0.245 Se
```

Properties
D(E_F) (states/eV/cell): 26.0
Formation energy from raw total energies (meV/atom): -1695
Size of the total moment (μB per cell): 17.68
Final energy (eV/f.u.): -121.00

4.
DFT (GGA-PBE) results for a geometry-optimized DyPuSe3 structure.

```
DyPuSe3
1.0
-3.096 -1.742 -1.974
1.978 -6.295 2.453
-5.282 1.167 7.254
Dy Pu Se
2 2 6
Direct
0.000 0.000 0.602 Dy
0.500 0.500 0.398 Dy
0.500 0.000 0.153 Pu
0.000 0.500 0.847 Pu
0.000 0.772 0.331 Se
0.500 0.728 0.669 Se
0.500 0.272 0.669 Se
0.000 0.228 0.331 Se
0.000 0.000 0.934 Se
0.500 0.500 0.066 Se
```

Properties
D(E_F) (states/eV/cell): 20.3
Polymorph energy (0 for the lowest one) (eV/atom): 0.0617
Formation energy from raw total energies (meV/atom): -1599
Size of the total moment (μB per cell): 10.00
Final energy (eV/f.u.): -37.38

5.
DFT (GGA-PBE) results for a geometry-optimized DyPu3Se4 structure.

```
DyPu3Se4
1.0
4.131 0.000 0.000
0.000 6.769 -2.318
0.000 -0.066 7.154
Pu Se Dy
3 4 1
Direct
0.000 0.000 0.500 Pu
0.500 0.500 0.500 Pu
0.000 0.500 0.000 Pu
0.000 0.247 0.247 Se
0.500 0.751 0.249 Se
0.000 0.753 0.753 Se
0.500 0.249 0.751 Se
0.500 0.000 0.000 Dy
```

Properties
D(E_F) (states/eV/cell): 26.9
Polymorph energy (0 for the lowest one) (eV/atom): 0.0000
Formation energy from raw total energies (meV/atom): -1601
Size of the total moment (μB per cell): 17.53
Final energy (eV/f.u.): -74.34

6.
DFT (GGA-PBE) results for a geometry-optimized Dy2PuSe structure.

```
Dy2PuSe
1.0
-1.121 2.643 2.297
-3.231 -0.314 1.727
3.190 -4.038 9.146
Dy Se Pu
2 1 1
Direct
0.107 0.107 0.679 Dy
0.893 0.893 0.321 Dy
0.500 0.500 0.500 Se
0.000 0.000 0.000 Pu
```

Properties
D(E_F) (states/eV/cell): 10.5
Formation energy from raw total energies (meV/atom): -442
Size of the total moment (μB per cell): 6.48
Final energy (eV/f.u.): -28.79

7.
DFT (GGA-PBE) results for a geometry-optimized Sm4DyPu3Se8 structure.

```
Sm4DyPu3Se8
1.0
-5.307 -6.025 1.999
4.499 -5.427 -4.413
3.618 4.468 5.950
Sm Dy Pu Se
4 1 3 8
Direct
0.500 0.000 0.000 Sm
0.500 0.000 0.500 Sm
0.000 0.000 0.000 Sm
0.000 0.000 0.500 Sm
0.000 0.500 0.000 Dy
0.500 0.500 0.000 Pu
0.500 0.500 0.500 Pu
0.000 0.500 0.500 Pu
0.247 0.745 0.998 Se
0.247 0.745 0.494 Se
0.251 0.253 0.502 Se
0.751 0.745 0.998 Se